• Activity:
Search the contents underneath for the word "stable" and transcribe each line that has it, please.

• Excerpt:
~~~
## Er3NpPd12 (GGA-PBE)

Data for Er3NpPd12 after structural relaxation.

Values from the calculation:
Fermi-level density of states, states/eV/cell: 18.0
Electronic total energy, eV/atom: -6.3583
Space-group type: P4/mmm (123)

Unit cell a=4.118 b=4.118 c=16.447 alpha=90.00 beta=90.00 gamma=90.00
Sites, in units of the cell vectors:
Er 0.000 0.000 0.000
Er 0.000 0.000 0.247
Er 0.000 0.000 0.753
Np 0.000 0.000 0.500
Pd 0.000 0.500 0.125
Pd 0.000 0.500 0.377
Pd 0.000 0.500 0.623
Pd 0.000 0.500 0.875
Pd 0.500 0.000 0.125
Pd 0.500 0.000 0.377
Pd 0.500 0.000 0.623
Pd 0.500 0.000 0.875
Pd 0.500 0.500 0.000
Pd 0.500 0.500 0.250
Pd 0.500 0.500 0.500
Pd 0.500 0.500 0.750


1.
Crystalline Y7Tl4H at its relaxed geometry. Source: the Alexandria database, functional GGA-PBE.

The structure belongs to space group C2/m (No. 12); the cell edges are 16.042, 5.133 and 10.999 Å and the angles 90.00°, 129.20° and 90.00°. The asymmetric unit holds Y at (0.000, 0.000, 0.000), Y at (0.067, 0.500, 0.263), Y at (0.138, 0.000, 0.563), Y at (0.213, 0.500, 0.856), Tl at (0.078, 0.000, 0.791), Tl at (0.220, 0.000, 0.352) and H at (0.000, 0.500, 0.000).

The calculation puts the final energy at -5.027 eV/atom. Its density is 6.8 g/cm3. The total magnetic moment is 0.01 μB/cell.

***

2.
Crystalline Sc2Co2Sn at its relaxed geometry. Source: the Alexandria database, functional GGA-PBE.

The structure belongs to space group I4/mmm (No. 139); the cell edges are 3.318, 3.318 and 16.914 Å and the angles 90.00°, 90.00° and 90.00°. The asymmetric unit holds Sc at (0.000, 0.000, 0.125), Co at (0.000, 0.500, 0.250) and Sn at (0.000, 0.000, 0.500).

The value obtained for the energy of formation is -191 meV/atom. Its density is 5.8 g/cm3. The total magnetic moment is 4.20 μB/cell.

***

3.
Crystalline CsTb2Te3 at its relaxed geometry. Source: the Alexandria database, functional GGA-PBE.

The structure belongs to space group P2_1/m (No. 11); the cell edges are 8.227, 4.447 and 12.102 Å and the angles 90.00°, 103.71° and 90.00°. The asymmetric unit holds Cs at (0.030, 0.250, 0.344), Tb at (0.259, 0.250, 0.992), Tb at (0.498, 0.750, 0.311), Te at (0.144, 0.750, 0.136), Te at (0.329, 0.750, 0.525) and Te at (0.388, 0.750, 0.847).

The offset from the most stable computed form comes out at 0.00 eV/f.u. Its raw formation energy is -1.250 eV per atom. Its density is 6.4 g/cm3. The total magnetic moment is 0.00 μB/cell.

***
~~~

• Worked solution:
The offset from the most stable computed form comes out at 0.00 eV/f.u. Its raw formation energy is -1.250 eV per atom. Its density is 6.4 g/cm3. The total magnetic moment is 0.00 μB/cell.